
Charly, Oct 2014 – Mar 2015, Balham
One of the main aspects that stood out for me in the work that we did, is the focused approach that Christian brought to each session. It’s always apparent that he is totally focused on whatever we’re discussing at the time, but not just passively listening and waiting to ask some generic question. I could tell that he was actively engaging in everything I said and would often understand the root of what I was getting at without me having to explain it. This attention to detail also has quite a motivating effect on me to actually put as much effort into the sessions as Christian is.
Some of the main differences that I’ve noticed since we did some therapy sessions is that I’m more decisive in my day to day life and spend less time confusedly procrastinating about what the right action is, so in a way I’m more carefree. And I think that this comes from being more confident in my own conclusions and thoughts and generally just being happier and more settled myself. It really helped to spend some time talking though various issues and having someone else’s perspective on things that I’ve spent so much time turning over and over in my head. But by talking to Christian, it kind of verified what I’d been thinking about and from that I’ve started to feel more confident and also feeling less need for external verification of how I’m feeling. So generally I’m actually feeling more content, which is ace!
Joss, March – July 2015, East Dulwich
I had no idea what to expect from counselling and it is still a surprise what I have got from it. I have learned things about myself that I feel I always knew but were quite a shock to realise at the time. But after letting them out and being able to talk about them with Christian, I felt much lighter and ready to deal with them. Now I know a lot more about why I have always held myself back and how I get in my own way.
Anonymous, Dec 2014 – Sept 2015, East Dulwich
Looking back on our sessions together what stands out is what they helped me to let go of. I’m less afraid of what I feel and think, or of having to be how I think I “should” be. And I’m more accepting of who I am, so I’m fighting against myself a lot less. A lot of that has come from times in our sessions when I realized things about myself and my past that had such a powerful impact and have helped me realise why I feel or think like I do. Now, because I’m more accepting of myself, I’ve found that learning to control my emotions less has helped my emotions be more controllable, which I never would have thought before. I’m now much more in touch with being myself as I’m letting go of arbitrary senses of identity of what I thought I should be – mostly for other people’s benefit. I’m less afraid of being myself.
I have a much deeper understanding of the stresses and pressures that bring out my rage and anger. Being able to identify when it’s happening and accept it stops me from acting on it or feeling so overwhelmed by it. And I’m better at saying ‘no’ because I’m clearer about what I want and need – which means I’m clearer to others.
I’m becoming more aware of the need for support from others and I am allowing myself to be more vulnerable and express the vulnerability. I’ve recognized that support can be more about being there and accepting rather than trying to fix and that my feelings don’t define me – they are just what I feel and there is more to gain from living through an emotion rather than controlling it.
Paddy Salter, Welfare and Guidance Manager at Newham 6th Form College, 2013 – 2014
Christian was highly effective in providing an effective, humanistic counselling service at our college. He employed a range of counselling approaches and strategies and tailored these to the needs of the young people. He made a significant difference to many young people who were highly vulnerable and at risk of failing college. He supported them to remain in college and be successful in their studies. He also supported them to address their emotional and mental health needs, building confidence and resilience; skills that will help them throughout life. I received very positive feedback from some of the students Christian supported and they commented on how he has turned their life around.
I could not recommend Christian more highly in any counselling role. In the short time he was with us he made a huge impact on the lives of the students he supported. He worked with many of our most vulnerable young people and was calm and confident working within crises. I found Christian to be a very honest and trustworthy man and had no reservations with him working unsupervised with some of our most vulnerable learners. He is a highly skilled counsellor, strengthened by compassion, empathy and genuine dedication.
Anonymous, Sept – Oct 2015, East Dulwich
After counselling with Christian I don’t feel as anxious or as scared as I did before. I haven’t felt anything close to a panic attack like I’d had before and I haven’t found myself switching off and daydreaming like I was. I feel a lot more relaxed. Our sessions helped me to realise what I went through in my accident – to appreciate what I lost – and that I need to remember to step back and look after myself more. I was denying a lot of things, especially my feelings. I was saying I was alright when I wasn’t. I was denying that it ever happened and now I’m not and that seems to have made me feel calmer and not so panicky. Now I can look forward a bit more to enjoying myself and doing more for myself. And before I wasn’t even sure if I wanted counselling!
Mark, Jan – Jul 2015, Balham
{"formula": "LiMo2P3O13", "functional": "PBE with a Hubbard U", "state": "optimized geometry", "de_polymorph_ev_per_atom": 0.000, "volume_a3_per_cell": 1028.9, "formation_enthalpy_0k_ev_per_atom": -2.44, "crystal_system": "monoclinic", "density_g_cm3": 3.2, "magmom_total_mub_per_cell": 8.0, "space_group": "P2_1/c", "lattice_angstrom": [[-11.287, 18.727, 5.488], [-5.592, -3.057, -1.068], [-1.102, -2.589, 6.570]], "species": ["O", "O", "O", "O", "O", "O", "O", "O", "O", "O", "O", "O", "O", "O", "O", "O", "O", "O", "O", "O", "O", "O", "O", "O", "O", "O", "O", "O", "O", "O", "O", "O", "O", "O", "O", "O", "O", "O", "O", "O", "O", "O", "O", "O", "O", "O", "O", "O", "O", "O", "O", "O", "P", "P", "P", "P", "P", "P", "P", "P", "P", "P", "P", "P", "Mo", "Mo", "Mo", "Mo", "Mo", "Mo", "Mo", "Mo", "Li", "Li", "Li", "Li"], "fractional_positions": [[0.160, 0.731, 0.205], [0.154, 0.221, 0.232], [0.085, 0.104, 0.545], [0.113, 0.724, 0.519], [0.840, 0.269, 0.795], [0.877, 0.144, 0.175], [0.566, 0.985, 0.207], [0.660, 0.769, 0.295], [0.915, 0.896, 0.455], [0.559, 0.594, 0.271], [0.022, 0.790, 0.698], [0.978, 0.210, 0.302], [0.887, 0.276, 0.481], [0.123, 0.856, 0.825], [0.478, 0.290, 0.198], [0.940, 0.717, 0.015], [0.705, 0.397, 0.551], [0.340, 0.231, 0.705], [0.623, 0.644, 0.675], [0.059, 0.906, 0.229], [0.440, 0.783, 0.485], [0.434, 0.015, 0.793], [0.809, 0.526, 0.060], [0.691, 0.026, 0.560], [0.377, 0.356, 0.325], [0.738, 0.705, 0.814], [0.415, 0.604, 0.045], [0.205, 0.103, 0.949], [0.522, 0.710, 0.802], [0.060, 0.283, 0.985], [0.724, 0.236, 0.943], [0.387, 0.224, 0.019], [0.224, 0.264, 0.557], [0.762, 0.205, 0.314], [0.066, 0.515, 0.293], [0.934, 0.485, 0.707], [0.941, 0.094, 0.771], [0.346, 0.721, 0.732], [0.846, 0.779, 0.768], [0.262, 0.295, 0.186], [0.560, 0.217, 0.515], [0.238, 0.795, 0.686], [0.613, 0.776, 0.981], [0.441, 0.406, 0.729], [0.309, 0.974, 0.440], [0.276, 0.764, 0.057], [0.295, 0.603, 0.449], [0.191, 0.474, 0.940], [0.585, 0.396, 0.955], [0.795, 0.897, 0.051], [0.654, 0.279, 0.268], [0.776, 0.736, 0.443], [0.796, 0.730, 0.917], [0.204, 0.270, 0.083], [0.916, 0.120, 0.349], [0.401, 0.219, 0.799], [0.599, 0.781, 0.201], [0.416, 0.380, 0.151], [0.584, 0.620, 0.849], [0.084, 0.880, 0.651], [0.901, 0.281, 0.701], [0.704, 0.230, 0.417], [0.099, 0.719, 0.299], [0.296, 0.770, 0.583], [0.707, 0.722, 0.542], [0.436, 0.723, 0.723], [0.293, 0.278, 0.458], [0.564, 0.277, 0.277], [0.064, 0.223, 0.223], [0.936, 0.777, 0.777], [0.207, 0.778, 0.958], [0.793, 0.222, 0.042], [0.851, 0.769, 0.287], [0.649, 0.269, 0.787], [0.149, 0.231, 0.713], [0.351, 0.731, 0.213]]}
Perhaps the best thing about our sessions was to just have somewhere to get things off my chest. Christian helped me to work out just how much I bottle stuff up and how scared I have always been of telling people how I feel. Now I can see how much that contributes to me feeling depressed and when I don’t bottle things up I don’t obsess about things so much and I sleep better because of it. I have learned a lot about why I have always kept stuff in and I still have to work at it, but I am getting better at doing what I need and asking for what I want. I don’t get depressed nearly as much as I used to and my life is much more about what I want for myself.